Energy & Environment

Interest groups appeal to Congress on oil exports

Activists on both sides of the crude oil export ban are making their final pitches to lawmakers before the House votes on lifting the restriction later this week. 

Letters supporting and opposing lifting the ban have poured into Congress ahead of Friday’s vote on the matter. Green groups, industry associations and conservative political groups have said they will score members’ votes on Rep. Joe Barton’s (R-Texas) bill or amendments to it. 

{mosads}A coalition of oil groups, including the American Petroleum Institute and the Independent Petroleum Association of America, encouraged House leaders on Tuesday to support lifting the 40-year-old ban. 

'''
No. 1
DFT (wB97M-V/def2-TZVPD) results for a structure of composition C21H40HgP2 at a distorted geometry.

Atoms and positions in Å:
P1 -0.025 2.178 0.558
P2 -0.396 -2.071 -0.320
C1 0.581 0.850 -0.670
C2 -0.276 -0.350 -1.243
H1 1.519 0.496 -0.206
H2 0.897 1.485 -1.506
H3 -1.345 -0.053 -1.308
H4 0.053 -0.523 -2.297
C3 1.389 -2.561 -0.412
H5 1.535 -3.578 0.015
H6 2.076 -1.880 0.130
H7 1.747 -2.612 -1.463
C4 -1.197 -2.925 -1.664
H8 -0.487 -3.248 -2.420
H9 -1.925 -2.296 -2.162
H10 -1.707 -3.810 -1.305
C5 1.057 3.233 1.551
H11 0.568 3.594 2.459
H12 1.311 4.112 0.968
H13 1.984 2.753 1.855
C6 -1.167 3.307 -0.224
H14 -1.665 2.858 -1.081
H15 -0.626 4.189 -0.546
H16 -1.898 3.669 0.499
Hg1 -0.677 0.050 1.696
C7 1.906 0.859 -3.355
C8 2.695 0.459 -2.338
C9 3.988 1.083 -1.938
C10 3.963 2.668 -1.836
C11 2.726 3.194 -1.222
C12 1.640 3.536 -1.931
C13 1.437 3.419 -3.422
C14 2.080 2.144 -4.098
C15 -1.857 1.129 3.081
H17 1.186 0.160 -3.816
H18 2.476 -0.482 -1.850
H19 4.736 0.778 -2.695
H20 4.375 0.696 -0.963
H21 4.792 2.933 -1.164
H22 4.274 3.103 -2.810
H23 2.838 3.555 -0.205
H24 0.875 4.156 -1.470
H25 1.895 4.312 -3.898
H26 0.358 3.494 -3.734
H27 1.539 1.979 -5.047
H28 3.128 2.364 -4.392
H29 -2.711 0.501 3.409
H30 -2.221 2.080 2.672
H31 -1.165 1.331 3.922
C16 -4.483 -3.186 3.126
C17 -2.991 -3.620 3.134
C18 -2.528 -3.657 4.616
C19 -2.823 -4.998 2.478
C20 -2.115 -2.670 2.310
C21 -1.365 -2.177 1.402
H32 -5.142 -3.898 3.664
H33 -4.828 -3.056 2.092
H34 -4.570 -2.187 3.580
H35 -3.106 -4.374 5.239
H36 -1.453 -3.887 4.659
H37 -2.613 -2.644 5.042
H38 -3.113 -4.918 1.426
H39 -1.757 -5.243 2.462
H40 -3.391 -5.806 2.965

Computed properties:
relative energy (zero: lowest compared OMol25 entry of this formula, charge and spin)	377.1	kJ/mol
net charge	0
HOMO (alpha / beta)	-4.41 / -4.20	eV
LUMO energy (alpha / beta)	0.41 / 0.43	eV
HOMO-LUMO gap (alpha / beta)	4.817 / 4.633	eV

Atomic partial charges in e from the natural (NBO) method, atoms 1 to 8:
1. P 0.73
2. P 1.33
3. C -0.76
4. C -0.72
5. H 0.24
6. H 0.27
7. H 0.23
8. H 0.24

=====

No. 2
DFT (wB97M-V/def2-TZVPD) results for a cluster of 2 separate species, C21H40N2O4P in total at a distorted geometry.

Atoms and positions in Å:
C1 -3.725 -2.404 -1.243
C2 -2.930 -1.858 -2.213
C3 -2.338 -0.534 -2.003
P1 -0.711 -0.606 -0.856
O1 -1.670 0.142 0.460
C4 0.786 -0.815 0.355
N1 1.035 -2.203 0.778
C5 -0.159 1.115 -1.472
C6 -1.082 2.285 -1.125
C7 -0.797 3.014 0.198
C8 0.656 3.095 0.611
O2 0.761 3.813 1.867
C9 1.033 3.006 2.927
C10 -0.068 2.209 3.548
O3 2.137 2.976 3.383
C11 0.203 -1.536 -2.296
C12 1.698 -1.249 -2.540
C13 2.679 -2.369 -2.132
C14 2.389 -3.697 -2.797
N2 3.299 -4.757 -2.314
C15 3.318 -6.002 -2.884
C16 4.227 -6.782 -2.203
C17 4.799 -5.977 -1.182
C18 4.196 -4.737 -1.291
H1 -4.555 -1.854 -0.816
H2 -3.510 -3.404 -0.874
H3 -2.777 -2.401 -3.146
H4 -2.180 0.020 -2.939
H5 -3.080 0.040 -1.437
H6 -1.187 -1.904 -0.376
H7 -1.893 -0.532 1.104
H8 1.713 -0.327 0.039
H9 0.500 -0.302 1.274
H10 1.004 -2.831 -0.015
H11 0.334 -2.472 1.450
'''
## End of the calculated molecules

“Lifting the ban on U.S. oil exports will offer our global allies and trading partners an alternative source of energy, shrink global dependence on oil sourced from hostile regimes, and put America on level fitting with all other producing nations,” the letter said. 

In a letter to members on Thursday, the National Association of Manufacturers said the crude oil issue will constitute a key vote this year, writing that lifting the ban would “place the U.S. into compliance with its international commitments and send a strong message to the global community that we intend to honor the basic rules of the global economy.”

The House will vote on the export ban this Friday, and a group of senators is hoping to bring the bill to the floor there soon. The White House has promised to veto the House bill, but supporters hope to find a compromise that will win its support. 

Green groups praised Obama’s Wednesday veto threat. In a letter to lawmakers, 42 such organizations said lifting the ban would have a dire impact on the environment. 

1.
Formula: C5H13N3O
Source: the Open Molecules 2025 dataset
Level of theory: ωB97M-V/def2-TZVPD

```
22
Properties=species:S:1:pos:R:3:mulliken_charge:R:1
C 1.7993 0.5181 -0.3843 0.449
C 2.4998 -0.6325 -1.0220 -1.085
C 1.8368 0.7928 0.9074 -1.189
N -0.8248 -1.3325 -0.8644 -0.510
H 1.1992 1.1249 -1.0510 0.324
H -1.2311 -2.2235 -1.1167 0.231
H -0.7507 -0.7675 -1.7066 0.250
H 3.1964 -1.0973 -0.3324 0.324
H 3.0371 -0.3095 -1.9079 0.314
H 1.7642 -1.3709 -1.3256 0.211
H 1.3132 1.6358 1.3289 0.347
H 2.4276 0.2076 1.5954 0.304
H -0.1136 -0.3414 1.3997 0.153
C -1.7893 0.8487 -0.3368 0.265
N -2.0745 1.6794 0.6780 -0.343
C -1.6422 -0.6169 0.1065 0.090
N -1.0825 -0.6544 1.4489 -0.714
O -1.6951 1.1855 -1.4977 -0.651
H -2.0089 1.3165 1.6148 0.264
H -2.1352 2.6721 0.5131 0.252
H -1.0630 -1.6131 1.7812 0.271
H -2.6629 -1.0218 0.1715 0.444
```

Output
DFT total energy   -437.82294 Eh
SMILES   NC(=O)C(N)N.C=CC
HOMO   -9.371 eV
F_max   0.532 eV/Å
Kohn-Sham gap   10.356 eV

2.
Formula: C9H15O7RhSe2
Source: the Open Molecules 2025 dataset
Level of theory: ωB97M-V/def2-TZVPD

```
34
Properties=species:S:1:pos:R:3:mulliken_charge:R:1
Rh -0.8009 0.4068 -0.0959 0.515
O -3.5771 2.3967 2.1881 -0.461
C -2.3875 2.0529 1.7354 0.683
O -1.9163 0.9406 1.8629 -0.553
C -1.6177 3.2085 1.1148 -0.393
O -0.7871 2.7752 0.0458 -0.546
C -1.4063 3.0080 -1.2442 -0.431
C -2.6459 2.1220 -1.4025 0.798
O -3.6798 2.5867 -1.8316 -0.665
O -2.4795 0.8887 -1.0212 -0.592
H -3.9995 1.6079 2.5669 0.396
H -0.9670 3.6056 1.8968 0.408
H -2.3027 3.9911 0.7894 0.356
H -0.6516 2.7402 -1.9819 0.206
H -1.6732 4.0588 -1.3469 0.344
O 0.9345 -0.1065 1.0603 -0.393
C 2.0441 -0.8780 0.5518 -1.129
C 1.5751 -2.0109 -0.3477 1.903
C 2.7341 -3.0286 -0.4413 -1.367
O 2.9698 -3.7864 0.7316 -0.514
C 1.3119 -1.5507 -1.7914 -1.387
Se 0.5827 0.2443 -2.0177 -0.158
C 0.3582 -2.7232 0.2562 -1.303
Se -1.3839 -1.8864 -0.0569 -0.056
H 1.2780 0.7136 1.4321 0.347
H 2.5556 -1.2834 1.4291 0.392
H 2.7237 -0.2225 0.0027 0.428
H 3.6472 -2.5143 -0.7673 0.445
H 2.4729 -3.7543 -1.2124 0.468
H 3.4218 -3.2448 1.3842 0.340
H 0.6402 -2.2580 -2.2749 0.451
H 2.2489 -1.5324 -2.3544 0.537
H 0.4937 -2.8509 1.3285 0.378
H 0.2838 -3.7163 -0.1883 0.550
```

Output
DFT total energy   -5792.04083 Eh
HOMO   -7.585 eV
F_max   0.988 eV/Å
Kohn-Sham gap   7.223 eV

3.
Formula: C31H33F2N8O2PbSSe2Te2
Source: the Open Molecules 2025 dataset
Level of theory: ωB97M-V/def2-TZVPD

```
82
Properties=species:S:1:pos:R:3:mulliken_charge:R:1
Pb 0.3690 0.9846 0.5660 1.328
C -0.5689 -0.9205 -4.1765 -0.509
C -0.4557 -1.1470 -2.8127 -0.188
N 0.5857 -0.7077 -2.1228 -0.156
C 1.5184 -0.0179 -2.7778 0.573
C 1.3480 0.2823 -4.1316 -0.377
N 0.3131 -0.1716 -4.8218 -0.623
C 2.7562 0.3343 -2.0405 -0.450
C 3.9617 0.3439 -2.7349 -0.568
C 5.1497 0.5135 -2.0400 0.530
C 5.0900 0.6361 -0.6589 -0.656
C 3.8506 0.6804 -0.0308 0.652
N 2.7104 0.5493 -0.7150 0.098
C 3.7561 0.7869 1.4490 -0.708
C 4.8868 1.0153 2.2419 -0.015
N 4.8630 0.9099 3.5603 -0.592
C 3.7061 0.6089 4.1302 -0.564
### So much for the molecular data

“There is no doubt that repealing or weakening current law, which forbids crude oil from being exported, will significantly increase climate-disrupting carbon pollution at a time when leading scientists and world leaders agree we must urgently reduce these emissions,” the groups wrote. 

In a separate letter, the League of Conservation Voters called the bill a “massive giveaway to Big Oil at the expense of America consumers.” The group said it will score lawmakers’ votes. 

Heritage Action, which opposes a provision in the bill boosting payments for unionized maritime shipping companies, was urging members Thursday to vote for an amendment stripping funding from the bill.

# Between two parts of the entry: data records
-- begin --
This record from the OMol25 dataset describes a structure of composition C36H54BBrN5P2Y. The level of theory is the ωB97M-V functional and the def2-TZVPD basis.

```
100
Properties=species:S:1:pos:R:3:forces:R:3:lowdin_charge:R:1
Y -0.2049 -0.3150 -0.0063 1.868 -1.117 1.564 1.3453
Br 2.7242 -1.8311 -0.3560 -0.186 0.085 -0.083 0.7457
P -0.9378 2.1602 1.7747 -0.249 0.027 -0.890 1.0946
P -0.3039 -1.0435 -2.9722 -0.544 0.576 0.319 1.0643
N 1.2605 -2.1498 7.6100 -0.059 0.055 -0.369 0.2134
N -2.1976 0.8614 -2.3758 -0.164 0.184 0.012 -0.0493
N 0.2553 -1.1724 2.4282 -0.276 0.000 -0.438 -0.0460
N -2.3459 2.2373 -0.5668 -0.213 -0.009 -0.379 -0.0394
N 2.8354 -3.4789 1.9098 -0.142 -0.021 0.213 0.0501
C 3.4428 -3.2375 0.7924 0.047 -0.061 0.011 -0.6795
C -2.9677 1.9717 -2.7354 0.038 -0.069 0.012 -0.1655
C 0.5644 3.6113 -0.0056 0.063 0.209 0.111 -0.0837
C -3.0560 2.8193 -1.6212 0.077 -0.041 0.033 -0.1599
C 1.4309 -0.8490 2.9757 0.064 -0.001 -0.056 -0.1799
C -3.7631 4.0141 -1.6844 -0.008 0.037 0.007 -0.0017
C 4.4934 -5.1717 2.3506 -0.067 -0.036 0.202 -0.2322
C 0.6044 -0.2863 -5.5641 0.040 0.028 -0.107 -0.0698
C 0.6644 1.3974 -3.7090 0.014 0.016 -0.210 -0.0783
C 1.0524 -1.9568 6.4950 0.042 -0.036 0.163 -0.1416
C 5.0614 -6.2098 3.2811 -0.025 0.110 -0.072 -0.0266
C 0.4550 3.3778 1.5072 0.140 -0.219 0.109 -0.7023
C 0.8568 -0.0827 -4.0736 0.149 -0.062 0.265 -0.6973
C -1.9533 -0.2368 -3.2792 0.119 -0.027 0.010 -0.2857
C 0.2865 4.7162 2.2208 0.008 0.119 -0.060 -0.0707
C -1.3705 -3.4372 -2.3500 -0.048 0.044 -0.046 -0.1074
C -0.6474 -1.7879 3.2053 0.038 -0.057 -0.107 -0.1333
C -2.4015 3.6258 3.7486 -0.070 0.125 0.050 -0.0661
C 1.7391 -1.0851 4.2993 0.102 -0.028 0.075 0.0089
C -0.6537 1.9921 4.5210 -0.103 0.083 0.061 -0.0749
C -0.6387 -2.7836 -3.5345 0.372 -0.123 0.272 -0.7067
C -0.4300 -2.0727 4.5369 -0.079 -0.086 0.079 0.0197
C 3.3558 -4.4453 2.6828 -0.077 0.028 0.017 -0.0683
C -1.7207 2.2894 3.4588 0.272 -0.395 0.147 -0.6922
C 2.3000 -0.4761 -3.7220 -0.002 0.012 -0.119 -0.1090
C 4.5633 -3.8846 0.3148 0.152 0.000 -0.227 -0.0885
C -3.5911 2.3004 -3.9343 0.029 0.003 -0.024 -0.0035
C -4.2943 3.4948 -3.9934 -0.004 0.015 0.020 -0.0681
C 0.6990 -3.5124 -3.7404 -0.034 -0.027 -0.061 -0.0870
C -2.7764 1.1697 3.4967 -0.068 0.087 0.042 -0.0878
C -1.4973 -2.8864 -4.7944 -0.015 -0.075 -0.087 -0.0668
C 1.7490 2.6884 1.9723 -0.040 0.152 0.096 -0.0984
C -4.3787 4.3407 -2.8838 0.015 -0.027 -0.024 -0.0678
C -2.3052 2.8511 0.7317 0.100 -0.078 0.087 -0.2976
C 5.0900 -4.8705 1.1315 0.120 -0.031 -0.127 0.0038
C 0.7873 -1.7056 5.0990 0.041 0.022 0.196 -0.1938
B -1.8078 0.9759 -0.9944 -1.126 0.848 -0.753 -0.6281
H 2.1693 -0.3901 2.3291 -0.029 0.023 -0.002 0.0820
H 0.5911 2.6729 -0.5682 0.003 -0.059 -0.075 0.0408
H 0.5122 -4.5854 -3.8461 0.001 0.079 0.006 0.0994
H -0.6656 5.1919 1.9730 0.076 -0.011 0.025 0.0861
H -1.1902 -2.5679 5.1274 0.042 0.027 -0.050 0.1393
H -3.2471 2.6925 1.2525 -0.118 0.030 0.069 0.0916
H -1.6384 -4.4639 -2.6081 0.000 0.012 0.024 0.1006
-- stop --

“Rather than passing a strong, principled free-market energy bill, [leadership] allowed the debate to become entangled in a half-billion dollar buyoff for Democrat votes,” spokesman Dan Holler said. “It puts good members in a bad position and distracts from yet another important debate.”